Wednesday, June 30, 2010


Princess and Monster's mom was supposed to come over for lunch. She never showed. She finally called around 6pm and said that she would be on her way after her and her new boyfriend dropped off his mom at her house. She lives about half an hour away now (she just moved yesterday). I kindly reminded her that Monster usually goes to bed around 7 and since she wouldn't be here until at least 645 that it wouldn't leave much time for her to visit. I asked her if tomorrow would be better and she agreed. So now the visit is scheduled for tomorrow. Well atleast it is supposed to be, she usually cancels and uses every excuse in the book as to why she can't make it. :(
Other than that we had a great day. My cousin, his girlfriend and their daughter came to visit today. We had a nice lunch and let the kids play in the back yard until the mosquitos started getting too bad. The kids played so nice together and they are supposed to come tomorrow afternoon and then we are going to walk to the park with the kids. It is supposed to be nice out tomorrow so it will make for a nice day.
Next week is going to be physically and mentally draining. Monday and Tuesday are pretty typical (just therapy for Monkey Man and Monster). Wednesday, I have to take Monster to get evaluated for autism. That in itself would be enough for a week but no there is more. Thursday I have to take Itty Bitty to have a his pre surgery physical done. Then on Friday is his surgery. He is having caps put on his 4 front teeth. The enamal didn't form correctly because of his birth mothers drinking when she was pregnant with him. Poor baby is still suffering the after effects of her poor choices. I just worry because I know there are additional risks when children are under the age of 2. He is only 17 months.
I just want next week to be done and over with already. I want to have answers as to whether Monster has autism or not. And I want Itty Bitty's surgery's to be in our past. I am already starting to feel anxious about everything and this week isn't even done yet. I am just trying to stay busy and not dread too much on it all. Wish us luck.

Inserted here: crystal structures.
(1)
Structure and calculated X-ray powder pattern of Li2BeF5 (DFT lattice parameters and positions (GGA-PBE); a wavelength of 1.5418 Å).

The 10 most intense peaks (15 to 90 degrees two-theta), low angle first:
2θ/deg, I_rel
15.5, 48
18.5, 47
21.5, 62
37.7, 38
39.2, 100
40.2, 95
44.4, 26
55.1, 21
59.6, 24
77.1, 16

Atomic structure:
Cell lengths 8.053, 8.167, 5.936 Å; angles 90.00, 90.00, 90.00 degrees
Fractional positions:
Li (0.000, 0.000, 0.223)
Li (0.000, 0.000, 0.777)
Li (0.133, 0.380, 0.500)
Li (0.367, 0.880, 0.000)
Li (0.500, 0.500, 0.277)
Li (0.500, 0.500, 0.723)
Li (0.633, 0.120, 0.000)
Li (0.867, 0.620, 0.500)
Be (0.244, 0.248, 0.000)
Be (0.256, 0.748, 0.500)
Be (0.744, 0.252, 0.500)
Be (0.756, 0.752, 0.000)
F (0.077, 0.098, 0.500)
F (0.082, 0.145, 0.000)
F (0.108, 0.623, 0.500)
F (0.244, 0.852, 0.278)
F (0.244, 0.852, 0.722)
F (0.256, 0.352, 0.222)
F (0.256, 0.352, 0.778)
F (0.392, 0.123, 0.000)
F (0.418, 0.645, 0.500)
F (0.423, 0.598, 0.000)
F (0.577, 0.402, 0.000)
F (0.582, 0.355, 0.500)
F (0.608, 0.877, 0.000)
F (0.744, 0.648, 0.222)
F (0.744, 0.648, 0.778)
F (0.756, 0.148, 0.278)
F (0.756, 0.148, 0.722)
F (0.892, 0.377, 0.500)
F (0.918, 0.855, 0.000)
F (0.923, 0.902, 0.500)

=====

(2)
Structure and calculated X-ray powder pattern of NaPb6F12 (DFT lattice parameters and positions (GGA-PBE); a wavelength of 1.5418 Å).

The 10 most intense peaks (15 to 90 degrees two-theta), low angle first:
2θ/deg, I_rel
16.2, 17
25.4, 35
26.2, 100
30.1, 45
42.6, 39
43.6, 36
50.2, 18
51.2, 32
51.6, 14
69.9, 12

Atomic structure:
Cell lengths 7.242, 7.242, 7.242 Å; angles 98.52, 98.52, 98.52 degrees
Fractional positions:
Na (0.000, 0.000, 0.000)
Pb (0.139, 0.590, 0.278)
Pb (0.278, 0.139, 0.590)
Pb (0.410, 0.722, 0.861)
Pb (0.590, 0.278, 0.139)
Pb (0.722, 0.861, 0.410)
Pb (0.861, 0.410, 0.722)
F (0.043, 0.912, 0.316)
F (0.088, 0.684, 0.957)
F (0.178, 0.462, 0.610)
F (0.316, 0.043, 0.912)
F (0.390, 0.822, 0.538)
F (0.462, 0.610, 0.178)
F (0.538, 0.390, 0.822)
F (0.610, 0.178, 0.462)
F (0.684, 0.957, 0.088)
F (0.822, 0.538, 0.390)
F (0.912, 0.316, 0.043)
F (0.957, 0.088, 0.684)

=====

(3)
Structure and calculated X-ray powder pattern of Sr2Si4Ir3 (DFT lattice parameters and positions (GGA-PBE); a wavelength of 1.5418 Å).

The 10 most intense peaks (15 to 90 degrees two-theta), low angle first:
2θ/deg, I_rel
28.6, 60
34.8, 33
35.6, 54
36.1, 87
38.4, 64
38.7, 48
39.2, 100
45.3, 27
47.5, 38
59.3, 31

Atomic structure:
Cell lengths 7.838, 6.646, 5.794 Å; angles 77.77, 55.96, 46.27 degrees
Fractional positions:
Sr (0.136, 0.136, 0.864)
Sr (0.864, 0.864, 0.136)
Si (0.166, 0.532, 0.468)
Si (0.468, 0.834, 0.166)
Si (0.532, 0.166, 0.834)
Si (0.834, 0.468, 0.532)
Ir (0.000, 0.000, 0.500)
Ir (0.500, 0.500, 0.000)
Ir (0.500, 0.500, 0.500)

=====

(4)
Structure and calculated X-ray powder pattern of SrBeZn2Ir2 (DFT lattice parameters and positions (GGA-PBE); a wavelength of 1.5418 Å).

The 10 most intense peaks (15 to 90 degrees two-theta), low angle first:
Here the page continues.

Tuesday, June 29, 2010

Only for today

Today was crazy busy but the boys had a blast, Princess is with her grandma for the night. We hung out at home this morning while Monkey Man had therapy and then Monster and Itty Bitty went and had fun with their aunt while I took Monkey Man to speech. When we were done we hung out with auntie and they had fun playing outside with their cousin. Then we came home to eat supper, bath time, then off to bed. Monster and Itty Bitty went to bed so easy tonight, I layed them down and haven't heard a peep since then. Monkey Man is about to get ready for bed then I think I will head to bed.
Tomorrow is going to be such a relaxing day compared to most. Monster and Monkey Man have therapy in the morning and then in the afternoon Monster and Princess's mother is going to come visit with them and have lunch. It should be a quiet day, I am hoping, but Monster tends to get very overstimulated when his mom comes to visit so I hope everything goes well tomorrow.

Monday, June 28, 2010

This past month

Its been crazy since Princess and Monster came back to live with us. Monkey Man gets 26 hours of ABA therapy a week and an hour of speech, Itty Bitty gets an hour of occupational therapy a week, and Monster gets an hour of speech and an hour of occupational therapy every week. That's a busy schedule. Add in the issues that the children came with (Princess has issues with trying to be the parent and control the other children, and Monster likes to throw anything and everything) but it is getting better.
We went to an autism meetup group tonight, that is sponsered by my tribe (we are Native American). It was great. Needless to say that only me and another girl showed up but it was the first meeting and what did you expect. I felt so bad for the other girl, her son was diagnosed and that was it. They didn't even point her in the direction to get her son some help. I told her of all the available resources in our wonderful state and hopefully she can start getting some help for her son soon. Poor girl has been trying to do everything on her own and she is pregnant with her second child.
The kids had a blast playing with the workers who kept them busy while we were having our meeting. They each got a stuffed toy from Toy Story. I can't wait until next month when they have another meeting, though I do hope more people show up.
I think it is safe to say that things are finally settling down and the children are getting used to living with each other. Somedays are hard but considering they are still all so young (5,4,2 and 1) things are going really well.

Introducing Itty Bitty

From the time my sister (mother to Princess and Moster) found out she was pregnant with Itty Bitty, she made the decision to adopt him to me. Considering I had custody of her other two children (Princess and Monster) at that point, I was elated but kind of scared of raising 4 children on my own. Of course the minute I saw him, I knew he was mine and the rest of it was just legal jumbo. He came a month early but did remarkably well. He came home on the 5th day. He was a more difficult baby. Early on there were tons of issues. At 1 month old he came down with cold like symptoms, so I took him in and found out he had Group B Strep, luckily antibiotics took care of it. Then at 4 months he was diagnosed with Plagiocephaly (mishappen head) and Torticollis (a muscle in his neck wasn't long enough so he only looked one way). That's when we started occupational therapy with him to help the Torticollis and helmet therapy to help the Plagiocephaly. Then came on the feeding problems (he had a super sensitive gag relex and a horrible suck relfex) so we stayed with the occupational therapist. He is now 1.5 years old and doing so much better. He is finally eating solids and doesn't have to be formula anymore. He is a bundle of energy and they are thinking that he too will be eventually diagnosed with pFAS but will wait until he is 2 to have him evaluated.

Introducing Monster

Monster came to me right from the hospital. He was a big baby and that is how he got his nick name. He is Princess's brother, my nephew. He was an awesome baby. He was content no matter what he was doing. Monster only ever really cried when he was hungry. When he was a couple months old he went back to his mother. He came back into care before he was even a year old. At the age of 1.5 I could tell something was up with him too. Monster was very behind in speech and was very with drawn from the world around him. I decided to give him some more time since he was still very young. He went back to his mother shorly after and I kept a watchful eye on him. I talked to his mother about my concerns last month and she made an appointment for him. Then he came back into care earlier this month so I will be taking him to his appointment that is early next month. I am thinking it may be autism but won't know for sure for another week and a half. He is now 2.5 and only says 10 words, is in his own world alot, doesn't socialize with other children, has sensory issues, etc. But we will see and if it is than we will seek help.

Introducing Princess

Princess is biologically my niece. She came to me when she was 9 months old. My sister is a severe alcoholic and at that point had 3 children. The older two live with my parents and always will. I remember when I got the call from the case worker asking if I was willing to take her in. I don't even think I hesitated before saying yes. At 9 months old she was a little ball of energy, she had the most beautiful blue eyes, and the softest little cry. When she first came, I thought, "Wow, am I ever gonna wake up with her if she starts crying in the middle of the night." But those motherly instincts kicked in and I would wake up everytime she moved.
By the time she was 2, I knew something was going on with her. Princess was extremely hyper so I chalked it up to being ADHD, it runs in our family, and didn't think much of it.
She ended up going back with her mom when she was 2.5 but ended up back with me before she turned 3. When she came back, it was like she never left. Things went back to normal.
Princess was diagnosed with pFAS, partial fetal alcohol syndrome when she was 3.5. It was devistating to hear that she would suffer for the rest of her life because her mother couldn't quit drinking while she was pregnant with her. A couple months after that Princess went back to live with her mom. I hated to see her leave because I knew she would be back in care before the year was up and she shouldn't have to be bounced around like that.
It wasn't until recently that she came back to live with me. And I couldn't be happier. She is 4.5 years old now, a bundle of joy, still has those bright blue eyes, and is a joy for the most part, though she does haver her moments. She may have pFAS but it doesn't have her.

Introducing Monkey Man

(The text is interrupted by materials data)
'''
The following is a computed powder X-ray diffraction pattern of La8CoRu3Cl4. It was derived from the GGA-PBE geometry in Alexandria, using Cu Kα (weighted mean of Kα1 and Kα2).

Structure:
```
data_La8CoRu3Cl4
_chemical_formula_sum 'La24 Co3 Ru9 Cl12'
_cell_length_a 8.2131
_cell_length_b 8.2131
_cell_length_c 22.9940
_cell_angle_alpha 90.00
_cell_angle_beta 90.00
_cell_angle_gamma 120.00
_symmetry_space_group_name_H-M 'R -3 m'
_symmetry_Int_Tables_number 166
_symmetry_space_group_name_Hall '-R 3 2"'
loop_
_atom_site_label
_atom_site_type_symbol
_atom_site_fract_x
_atom_site_fract_y
_atom_site_fract_z
La1 La 0.0000 0.0000 0.2349
La2 La 0.0019 0.5009 0.2342
Co1 Co 0.0000 0.0000 0.5000
Ru1 Ru 0.0000 0.5000 0.5000
Cl1 Cl 0.0000 0.0000 0.0000
Cl2 Cl 0.0000 0.5000 0.0000
```

Most intense lines, 10° ≤ 2θ ≤ 90°, sorted by position:
(hkl)	two_theta	I/Imax
0 0 3	11.55	37
0 2 4	29.54	100
0 2 7	37.26	19
2 0 8	40.35	30
2 2 0	44.11	36
4 0 4	53.98	18

The following is a computed powder X-ray diffraction pattern of La6Tl2CoCl. It was derived from the GGA-PBE geometry in Alexandria, using Cu Kα (weighted mean of Kα1 and Kα2).

Structure:
```
data_La6Tl2CoCl
_chemical_formula_sum 'La24 Tl8 Co4 Cl4'
_cell_length_a 11.005
_cell_length_b 11.005
_cell_length_c 11.005
_cell_angle_alpha 90.00
_cell_angle_beta 90.00
_cell_angle_gamma 90.00
_symmetry_space_group_name_H-M 'F m -3 m'
_symmetry_Int_Tables_number 225
_symmetry_space_group_name_Hall '-F 4 2 3'
loop_
_atom_site_label
_atom_site_type_symbol
_atom_site_fract_x
_atom_site_fract_y
_atom_site_fract_z
La1 La 0.000 0.000 0.243
Tl1 Tl 0.250 0.250 0.250
Co1 Co 0.000 0.000 0.000
Cl1 Cl 0.000 0.000 0.500
```

Most intense lines, 10° ≤ 2θ ≤ 90°, sorted by position:
(hkl)	two_theta	I/Imax
2 2 2	28.09	100
4 0 0	32.55	71
4 4 0	46.69	51
6 2 2	55.38	45
6 6 2	75.28	18
8 4 0	77.59	22

The following is a computed powder X-ray diffraction pattern of Li2CoCl. It was derived from the GGA-PBE geometry in Alexandria, using Cu Kα (weighted mean of Kα1 and Kα2).

Structure:
```
data_Li2CoCl
_chemical_formula_sum 'Li4 Co2 Cl2'
_cell_length_a 3.047
_cell_length_b 6.794
_cell_length_c 8.011
_cell_angle_alpha 90.00
_cell_angle_beta 90.00
_cell_angle_gamma 90.00
_symmetry_space_group_name_H-M 'I m m m'
_symmetry_Int_Tables_number 71
_symmetry_space_group_name_Hall '-I 2 2'
loop_
_atom_site_label
_atom_site_type_symbol
_atom_site_fract_x
_atom_site_fract_y
_atom_site_fract_z
Li1 Li 0.000 0.000 0.216
Co1 Co 0.000 0.500 0.000
Cl1 Cl 0.000 0.500 0.500
```

Most intense lines, 10° ≤ 2θ ≤ 90°, sorted by position:
(hkl)	two_theta	I/Imax
0 0 2	22.19	84
0 2 0	26.23	81
1 1 0	32.20	61
0 2 2	34.62	50
1 1 2	39.45	100
1 3 2	55.52	34

The following is a computed powder X-ray diffraction pattern of LiCoCl3. It was derived from the GGA-PBE geometry in Alexandria, using Cu Kα (weighted mean of Kα1 and Kα2).

Structure:
```
data_LiCoCl3
_chemical_formula_sum 'Li8 Co8 Cl24'
_cell_length_a 12.447
_cell_length_b 11.475
_cell_length_c 6.481
'''

I was 20 years old when I found out I was pregnant with Monkey Man. He was born 11 days after my 21st birthday. I had always knew that I would be a mom one day and there he was. He was perfect in every way and I was so glad when I could bring him home. I became a single mommy when he was only a month old, but was content raising him on my own. Even from the beginning I knew he was different. Just his mannerism and his quirks. When he was 2, I had him evaluated for a speech delay and they told me, "Oh, he is a boy, he'll catch up." I let that statement keep me in denial for another year. I knew he was different, from the way he played with toys to the way he acted around other kids. Something just wasn't right. At 3.5 years old he was diagnosed with autism. That is when our whole world changed. After a couple of months I became OK with everything, things were falling into place. Monkey Man was starting speech and occupational therapy, getting screened for special education and was making some progress.
Monkey Man is now 5.5 and is doing remarkably well. He has been in a regular class room (with lots of supports), has been receiving 26 hours of ABA therapy, has graduated from occupational therapy, and still receiving speech therapy. He takes things literally, has some behavioral issues we are still working on, it still quirky, but he lives life to its fullest and has taught me so many things.